
Use the below search options at the bottom of the page to find information regarding recent decisions that have been taken by the Combined Authority.

Alternatively you can visit the officer decisions page for information on officer delegated decisions that have been taken by officers with authority to take delegated decisions for the Combined Authority.

Decisions published

10/01/2025 - Progression of Manchester Road Community Hub project and Manchester Road Placemaking project (Stocksbridge Towns Fund Programme) to OBC in principle approval and award of £3m to Sheffield City Council ref: 654    Recommendations Approved

At the 12th November 2024 MCA Board, SYMCA secured delegated authority to the Head of Paid Service in consultation with Mayor Ros Jones - in her position as the Portfolio Lead for Housing & Infrastructure – to provide OBC in principle approval.

Decision Maker: Section 73 Officer

Decision published: 10/01/2025

Effective from: 10/01/2025


Option 1 – Approve the recommendation

Here the piece breaks off for records of crystals =
=====
VASP calculation (PBE) on an optimized crystal structure of CaTiSb2Te.

Output
**Energy above the lowest structure with this stoichiometry**: 0.0 meV per atom
**SG**: No. 123
**Energy relative to the elements, uncorrected**: -32.9 kJ per mole of atoms

Lattice parameters (Å, degrees): 5.3253 5.3253 5.3814 90.00 90.00 90.00
Element x y z (fractional)
Ca 0.5000 0.5000 0.5000
Sb 0.5000 0.0000 0.0000
Sb 0.0000 0.5000 0.0000
Ti 0.0000 0.0000 0.0000
Te 0.0000 0.0000 0.5000



VASP calculation (PBE) on an optimized crystal structure of CaTl2SbTe4.

Output
**SG**: No. 10
**Energy relative to the elements, uncorrected**: -51.4 kJ per mole of atoms

Lattice parameters (Å, degrees): 4.5063 8.0341 7.9675 71.40 90.00 90.00
Element x y z (fractional)
Te 0.0000 0.7239 0.7650
Tl 0.5000 0.0000 0.5000
Te 0.5000 0.7269 0.2505
Tl 0.0000 0.0000 0.0000
Te 0.5000 0.2731 0.7495
Te 0.0000 0.2761 0.2350
Sb 0.5000 0.5000 0.0000
Ca 0.0000 0.5000 0.5000



VASP calculation (PBE) on an optimized crystal structure of CaTl3Sb2Te6.

Output
**SG**: No. 12
**Energy relative to the elements, uncorrected**: -42.0 kJ per mole of atoms

Lattice parameters (Å, degrees): 7.8191 7.8191 8.1961 99.13 99.13 119.94
Element x y z (fractional)
Te 0.9244 0.5829 0.7757
Sb 0.3332 0.6668 0.0000
Te 0.5829 0.9244 0.7757
Te 0.2692 0.2692 0.7814
Tl 0.8378 0.1622 0.5000
Te 0.7308 0.7308 0.2186
Tl 0.5000 0.5000 0.5000
Te 0.0756 0.4171 0.2243
Ca 0.0000 0.0000 0.0000
Te 0.4171 0.0756 0.2243
Tl 0.1622 0.8378 0.5000
Sb 0.6668 0.3332 0.0000



VASP calculation (PBE) on an optimized crystal structure of CaSbTe2W.

Output
**Energy above the lowest structure with this stoichiometry**: 0.0 meV per atom
**SG**: No. 123
**Energy relative to the elements, uncorrected**: 17.1 kJ per mole of atoms

Lattice parameters (Å, degrees): 5.4821 5.4821 5.2027 90.00 90.00 90.00
Last column: magnetic moment on the atom in μB.
Element x y z (fractional)
W 0.0000 0.0000 0.0000  0.43
Te 0.5000 0.0000 0.0000  0.00
Ca 0.5000 0.5000 0.5000  0.02
Te 0.0000 0.5000 0.0000  0.00
Sb 0.0000 0.0000 0.5000  -0.01



VASP calculation (PBE) on an optimized crystal structure of CaYSbTe2.

Output
**Energy above the lowest structure with this stoichiometry**: 432.1 meV per atom
**SG**: No. 123
**Energy relative to the elements, uncorrected**: -10.4 kJ per mole of atoms

Lattice parameters (Å, degrees): 5.6894 5.6894 5.5886 90.00 90.00 90.00
Element x y z (fractional)
Y 0.5000 0.5000 0.5000
Te 0.5000 0.0000 0.0000
Te 0.0000 0.5000 0.0000
Ca 0.0000 0.0000 0.0000
Sb 0.0000 0.0000 0.5000



VASP calculation (PBE) on an optimized crystal structure of CaYSbTe2.

Output
**Energy above the lowest structure with this stoichiometry**: 0.0 meV per atom
**SG**: No. 123
**Energy relative to the elements, uncorrected**: -52.1 kJ per mole of atoms

Lattice parameters (Å, degrees): 5.8254 5.8254 5.7641 90.00 90.00 90.00
Element x y z (fractional)
Y 0.0000 0.0000 0.0000
Ca 0.5000 0.5000 0.5000
Sb 0.0000 0.0000 0.5000
Te 0.5000 0.0000 0.0000
=====
Back to the piece =

Lead officer: Gareth Sutton

10/01/2025 - Progression of Sheffield City Council Stock Increase Programme – Newstead General Needs to full approval and award of £1,309,000 to Sheffield City Council ref: 653    Recommendations Approved

At the 12th November 2024 MCA Board, SYMCA secured delegated authority to the Head of Paid Service in consultation with Mayor Ros Jones - in her position as the Portfolio Lead for Housing & Infrastructure – to approve the project.

Decision Maker: Section 73 Officer

Decision published: 10/01/2025

Effective from: 10/01/2025


Option 1 – Approve the recommendation

Lead officer: Gareth Sutton

10/01/2025 - Progression of CRSTS16 Doncaster Southern Gateway to City Centre Connectivity and release of development funding of £1.4m to City of Doncaster Council ref: 652    Recommendations Approved

In March 2023 the MCA Board approved the revised Assurance Framework. The revised Assurance Framework provides for a one-stop governance process. This change was designed to improve the pace at which schemes can be developed and delivered. Strategic Business Cases are undertaken within authorities with Outline Business Cases undertaken at MCA Board level.

The Framework allows for schemes that are accepted into the programme to access development funding. Development funding is a key component in supporting the development of quality schemes at pace and is distributed on conclusion of the Strategic Business Case. Accordingly, there was an unintended discrepancy where the intention for a one-stop process was undercut by the need to seek separate approvals for development funding release and OBC approvals.

Therefore, in July 2023 the MCA Board granted approval to delegate authority to the Head of Paid Service in consultation with Portfolio Leaders and the Section 73 and Monitoring Officer to approve the release of development cost funding in line with the Assurance Framework to enable schemes to progress as efficiently as possible.

Decision Maker: Section 73 Officer

Decision published: 10/01/2025

Effective from: 10/01/2025


Option 1 – Approve the recommendation

Lead officer: Gareth Sutton

10/01/2025 - Progression of Independent Mobile Coverage Mapping and release of £68,000 to the South Yorkshire Digital Infrastructure Team ref: 651    Recommendations Approved

The Digital Infrastructure Team is a partnership between the local authorities of Barnsley, Doncaster, Rotherham, Sheffield, and the South Yorkshire Mayoral Combined Authority. The existing team has been hosted by Barnsley Council but it works on behalf of all partners. It was established in 2014 to improve the availability of digital infrastructure as superfast broadband was rolled out.
The SY Digital Infrastructure Team is currently funded by SYMCA to the end of 2025/26 using Openreach superfast contract clawback.

This request is to recycle additional superfast funds to deliver accurate mapping of the actual coverage and end user experience of mobile connectivity in South Yorkshire.

Decision Maker: Section 73 Officer

Decision published: 10/01/2025

Effective from: 10/01/2025


Option 1 – Approve the recommendation

Lead officer: Gareth Sutton

10/01/2025 - Progression of Stocksbridge Bus Improvement Project and release of £250,000 to Sheffield City Council ref: 650    Recommendations Approved

A one-off Transport Innovation Fund (TIF) of up to £2.5m from treasury management windfall was established by the Combined Authority in August 2023, to support innovative transport projects in South Yorkshire.

TIF funding is intended to support innovative transport-related proposals that demonstrate the potential in the future to offer a more efficient means of supporting individual and community mobility than the current approach. In discussions with Leaders, there is a strong appetite to pilot trials of Demand Responsive Transport (DRT) across the region to investigate whether this offers a more cost effective way of serving areas that struggle to maintain a timetabled bus service.

These proposals are to be delivered and evaluated by the end of March 2025 and if successful, could offer an innovative way of reducing pressure on the tendered services budget.

Therefore, in February 2024 the MCA board approved delegated authority to the Head of Paid Service in consultation with Mayor Coppard – in his position as the Portfolio lead for Transport – for consideration of the Transport Innovation Fund pilot schemes, and delegated authority to the Head of Paid Service in consultation with the Section 73 and Monitoring Officer to enter into legal agreements for the schemes.

Decision Maker: Section 73 Officer

Decision published: 10/01/2025

Effective from: 10/01/2025


Option 1 – Approve the recommendations

Lead officer: Gareth Sutton

10/01/2025 - To approve the appointment of Consultants to the Engineering Framework Contract (2024 – 2028) for Lots 1 to 5 as detailed below: ref: 648    Recommendations Approved

On the 13th August 2025, as part of an Open Tender procurement process, invitation to tender (ITT) documents were uploaded on ProContract for the Engineers Consultancy Framework, which will run from 2025 to 2029.

The new framework will comprise of 5 Lots as follows:

• Lot 1 – Highway/ Park and Ride/ Interchange
• Lot 2 – Light Rail
• Lot 3 – Heavy Rail
• Lot 4 – Facilities Management and Sustainability
• Lot 5 – Strategy and Policy

Tenders were received on Wednesday 2nd October in the prescribed manner as instructed on the ITT documentation. A total of 17 companies submitted bids in total, with most going for more than one Lot. 9 companies opted to apply for Lots 1, 3 and 4 and 8 companies opted for Lots 2 & 4.

The estimated contract value of each Lot over the 4-year period is as follows:

• Lot 1 - £2,000,000
• Lot 2 - £5,000,000
• Lot 3 - £500,000
• Lot 4 - £750,000
• Lot 5 - £750,000

The basis for selection of the Engineering Consultants for all 5 Lots involved an evaluation based on 70% quality and 30% price.

Tenderers were required to pass the standards set for technical and professional ability and economic and financial standing. They also needed to achieve a minimum quality mark of 60, to continue the evaluation process to factor in the tender price. Representatives from Projects Delivery, Rail and Tram teams were involved in the evaluation process. Overall, the quality of the submissions was excellent, and the final selections for each Lot were decided by very small margins.

Two tenderers (All Lot 4) failed to meet the minimum quality threshold of 60.

A key difference with the new framework compared to the existing
framework will be the ability to award directly to the highest scoring
provider in each lot for call-offs estimated at below £50,000. The previous threshold was £25,000. It should be noted that this is not a guaranteed route and SYMCA has reserved the right to hold mini competitions between all the providers on a lot.

The published ITT documents stated that SYMCA would like to appoint a maximum of 4 consultants in each of Lot. The outcomes of the evaluation process are set out below:

Lot 1 – Highway/ Park and Ride/ Interchange

Table included on PDF document.

Lot 2 – Light Rail

Table included on PDF document.

Lot 3 – Heavy Rail

Table included on PDF document.

Lot 4 – Facilities Management and Sustainability

Table included on PDF document.

Lot 5 – Strategy and Policy

Table included on PDF document.

SYMCA is not bound to use the framework for appointments. The approval requested by this report has no financial implications on its own. Approval to make appointments using this framework will be sought in line with the requirements of SYMCA Contract Procedures.

Decision Maker: Executive Director of Transport

Decision published: 10/01/2025

Effective from: 10/01/2025


To approve the appointment of the following Consultants to the Engineering Framework Contract (2024 – 2028) for Lot’s 1 to 5 as detailed below:

Lot 1 – Highway/ Park and Ride/ Interchange

1. Pell Frischmann Consultants Ltd.
2. Ove Arup and Partners Ltd.
3. Sable Leigh Consultancy Ltd
4. Mott MacDonald Ltd.

Lot 2 – Light Rail

1. Ove Arup and Partners Ltd.
2. Pell Frischmann Consultants Ltd.
3. Mott MacDonald Ltd.
4. WSP UK Limited.

Lot 3 – Heavy Rail

1. Pell Frischmann Consultants Ltd.
2. Sable Leigh Consultancy Ltd
3. Ove Arup and Partners Ltd.
4. Baker Hicks Limited.

Lot 4 – Facilities Management and Sustainability

1. Ove Arup and Partners Ltd.
2. Pell Frischmann Consultants Ltd.
3. Sable Leigh Consultancy Ltd
4. Mott MacDonald Ltd.

Lot 5 – Strategy and Policy

1. Ove Arup and Partners Ltd.
2. Pell Frischmann Consultants ltd.
3. Mott MacDonald Ltd.
4. Steer Davies Gleeve.

Lead officer: Melanie Corcoran

11/12/2024 - ZERO EMMISION (ZEBRA) REVENUE FUNDING ref: 647    Recommendations Approved

SYMCA has been working with Arup, Swarco and Northern PowerGrid to deliver the pantograph charging infrastructure at RTI. Unfortunately, delays to the implementation of a new substation at the interchange has meant that the pantographs are not yet in operation, and they are unlikely to be in operation until the end of this financial year (current forecast).

Rather than reduce service levels and provide a poorer service for customers, including reputational risk for SYMCA, Stagecoach have implemented an inefficient vehicle schedule to allow charging at the depot.

Stagecoach have provided details that without the pantograph chargers a number of buses have to be returned to depot. This requires additional staff time as a direct result of the delays to the SYMCA project. This report seeks approval to fund these additional costs.

The funding approval required for this revenue cost is £45,850.00 covering the additional costs until 31 August and all the cost through to 01 March 2025. Previous approvals of £17,000 (not part of this paper) take the final total approval value to £61,950.00.

Further background information due commercially sensitive information is redacted and included in the Transport Directorate Leadership Team approval papers dated 12 November 2024.

Decision Maker: Executive Director of Transport

Decision published: 10/01/2025

Effective from: 11/12/2024


Recommendations approved. Total cost of awards is £45,850.00.

Previous approvals of £17,000 (not part of this paper) take the final total approval value to £61,950.00

Lead officer: Melanie Corcoran